Exercise:
Quote only the last part of the material underneath, starting with the line that has "total_charge".
Contents:
(1)
{
  "formula": "C57H60O10S",
  "method": "ωB97M-V/def2-TZVPD",
  "homo_energy_ev": -9.208,
  "total_charge": 0,
  "fmax_ev_per_a": 5.35,
  "e_tot_ev": -91381.9834,
  "gap_ev": 7.5,
  "smiles": "CCOCCC1=CC(=O)c2c(CCCCCCCCOC)cc(S(C)(=O)=O)c(CCC(C)C)c2C1=O.O=C1c2ccccc2C(=O)c2ccccc21.O=C1c2ccccc2C(=O)c2ccccc21",
  "elements": ["C", "C", "O", "C", "C", "C", "C", "C", "O", "C", "C", "C", "C", "C", "C", "C", "C", "C", "C", "O", "C", "C", "C", "S", "C", "O", "O", "C", "C", "C", "C", "C", "C", "C", "C", "O", "H", "H", "H", "H", "H", "H", "H", "H", "H", "H", "H", "H", "H", "H", "H", "H", "H", "H", "H", "H", "H", "H", "H", "H", "H", "H", "H", "H", "H", "H", "H", "H", "H", "H", "H", "H", "H", "H", "H", "H", "H", "H", "H", "H", "O", "C", "C", "C", "C", "C", "C", "C", "C", "O", "C", "C", "C", "C", "C", "C", "H", "H", "H", "H", "H", "H", "H", "H", "O", "C", "C", "C", "C", "C", "C", "C", "C", "O", "C", "C", "C", "C", "C", "C", "H", "H", "H", "H", "H", "H", "H", "H"],
Result:
  "total_charge": 0,
  "fmax_ev_per_a": 5.35,
  "e_tot_ev": -91381.9834,
  "gap_ev": 7.5,
  "smiles": "CCOCCC1=CC(=O)c2c(CCCCCCCCOC)cc(S(C)(=O)=O)c(CCC(C)C)c2C1=O.O=C1c2ccccc2C(=O)c2ccccc21.O=C1c2ccccc2C(=O)c2ccccc21",
  "elements": ["C", "C", "O", "C", "C", "C", "C", "C", "O", "C", "C", "C", "C", "C", "C", "C", "C", "C", "C", "O", "C", "C", "C", "S", "C", "O", "O", "C", "C", "C", "C", "C", "C", "C", "C", "O", "H", "H", "H", "H", "H", "H", "H", "H", "H", "H", "H", "H", "H", "H", "H", "H", "H", "H", "H", "H", "H", "H", "H", "H", "H", "H", "H", "H", "H", "H", "H", "H", "H", "H", "H", "H", "H", "H", "H", "H", "H", "H", "H", "H", "O", "C", "C", "C", "C", "C", "C", "C", "C", "O", "C", "C", "C", "C", "C", "C", "H", "H", "H", "H", "H", "H", "H", "H", "O", "C", "C", "C", "C", "C", "C", "C", "C", "O", "C", "C", "C", "C", "C", "C", "H", "H", "H", "H", "H", "H", "H", "H"],